All posts by: Adam Garson

About Adam Garson

National Filing. The first method consists of directly filing a trademark application in the foreign country. This is commonly referred to as a “National Filing.” Typically, your US attorney will retain a trademark attorney in the country where you wish to register your trademark. You provide the foreign attorney with a power of attorney and […]

### Misplaced records of crystals
No. 1
ScNbBr3 | GGA-PBEsol | relaxed

Calculated values
Crystal system: cubic
Distance to the lowest polymorph of the same formula: 7.7 kJ per mole of atoms
Theoretical density: 4.71 Mg/m³

a = 5.107 Å, b = 5.107 Å, c = 5.107 Å
α = 90.00°, β = 90.00°, γ = 90.00°
Positions (direct):
Sc: 0.000 0.000 0.000
Nb: 0.500 0.500 0.500
Br: 0.000 0.500 0.500
Br: 0.500 0.000 0.500
Br: 0.500 0.500 0.000

=====

No. 2
ScNbSeBr2 | GGA-PBEsol | relaxed

Calculated values
Crystal system: tetragonal
Theoretical density: 4.83 Mg/m³

a = 5.079 Å, b = 5.079 Å, c = 5.017 Å
α = 90.00°, β = 90.00°, γ = 90.00°
Positions (direct):
Sc: 0.000 0.000 0.000
Nb: 0.500 0.500 0.500
Se: 0.500 0.500 0.000
Br: 0.000 0.500 0.500
Br: 0.500 0.000 0.500

=====

No. 3
Nb3Se5Br7 | GGA-PBEsol | relaxed

Calculated values
Crystal system: monoclinic
Theoretical density: 5.05 Mg/m³

a = 7.803 Å, b = 12.958 Å, c = 8.412 Å
α = 90.00°, β = 107.56°, γ = 90.00°
Positions (direct):
Nb: 0.021 0.107 0.059
Nb: 0.021 0.393 0.059
Nb: 0.397 0.250 0.491
Nb: 0.603 0.750 0.509
Nb: 0.979 0.607 0.941
Nb: 0.979 0.893 0.941
Se: 0.192 0.026 0.863
Se: 0.192 0.474 0.863
Se: 0.280 0.531 0.137
Se: 0.280 0.969 0.137
Se: 0.417 0.250 0.768
Se: 0.583 0.750 0.232
Se: 0.720 0.031 0.863
Se: 0.720 0.469 0.863
Se: 0.808 0.526 0.137
Se: 0.808 0.974 0.137
Br: 0.052 0.750 0.191
Br: 0.132 0.113 0.405
Br: 0.132 0.387 0.405
Br: 0.194 0.750 0.864
Br: 0.296 0.250 0.136
Br: 0.387 0.613 0.525
Br: 0.387 0.887 0.525
Br: 0.613 0.113 0.475
Br: 0.613 0.387 0.475
Br: 0.704 0.750 0.864
Br: 0.806 0.250 0.136
Br: 0.868 0.613 0.595
Br: 0.868 0.887 0.595
Br: 0.948 0.250 0.809

=====

No. 4
NbSeBr3 | GGA-PBEsol | relaxed

Calculated values
Crystal system: monoclinic
Theoretical density: 4.84 Mg/m³

a = 6.556 Å, b = 6.950 Å, c = 12.557 Å
α = 90.00°, β = 99.55°, γ = 90.00°
Positions (direct):
Nb: 0.072 0.136 0.150
Nb: 0.072 0.864 0.650
Nb: 0.928 0.136 0.350
Nb: 0.928 0.864 0.850
Se: 0.168 0.404 0.300
Se: 0.168 0.596 0.800
Se: 0.832 0.404 0.200
Se: 0.832 0.596 0.700
Br: 0.157 0.186 0.542
Br: 0.157 0.814 0.042
Br: 0.253 0.071 0.808
Br: 0.253 0.929 0.308
Br: 0.371 0.288 0.077
Br: 0.371 0.712 0.577
Br: 0.629 0.288 0.423
Br: 0.629 0.712 0.923
Br: 0.747 0.071 0.692
Br: 0.747 0.929 0.192
Br: 0.843 0.186 0.958
Br: 0.843 0.814 0.458

=====

No. 5
NbSe2Br2 | GGA-PBEsol | relaxed

Calculated values
Crystal system: triclinic
Distance to the lowest polymorph of the same formula: 0.0 kJ per mole of atoms
Theoretical density: 5.24 Mg/m³

a = 6.596 Å, b = 6.687 Å, c = 7.517 Å
α = 67.62°, β = 68.34°, γ = 60.56°
Positions (direct):
Nb: 0.126 0.247 0.000
Nb: 0.874 0.753 0.000
Se: 0.076 0.595 0.678
Se: 0.264 0.462 0.129
Se: 0.736 0.538 0.871
Se: 0.924 0.405 0.322
Br: 0.166 0.982 0.775
Br: 0.419 0.850 0.225
Br: 0.581 0.150 0.775
Br: 0.834 0.018 0.225

=====

No. 6
NbSe2Br2 | GGA-PBEsol | relaxed

Calculated values
Crystal system: monoclinic
Distance to the lowest polymorph of the same formula: 0.2 kJ per mole of atoms
Theoretical density: 5.32 Mg/m³

Food technology has come a long way over the past several decades. Great strides have been made in developing substitutes for meat, dairy, and gluten containing flours. We now have “milk” made from oats and almonds, meat substitutes made from various vegetable based ingredients, and gluten free bakery products made from amaranth, millet, sorghum and, would […]

In its 2020 Review of Notorious Markets for Counterfeiting and Piracy, the United States Trade Representative warns: “Commercial-scale copyright piracy and trademark counterfeiting cause significant financial losses for U.S. right holders and legitimate businesses, undermine critical U.S. comparative advantages in innovation and creativity to the detriment of American workers, and pose significant risks to consumer health and safety.” […]

In 2011, H. R. 2511, “Innovative Design Protection and Piracy Prevention Act” was an attempt by Congress to extend copyright protection to fashion design. The bill died in Congress and never received a vote. To this day, fashion designs remain unprotected under U.S. copyright law. One fashion-related area that has received considerable attention, however, is in the […]

### Calculated crystals, kept here for reference
- - -
1.
This record from Alexandria describes crystalline InBr5 at its relaxed geometry. The functional is PBEsol.

## Properties
* formation energy (no corrections): 1.3 eV/f.u.
* uncorrected energy: -1.8325 eV per atom
* spin magnetization: 0.0 μB/f.u.

a = 6.100 Å, b = 6.100 Å, c = 6.100 Å
α = 60.00°, β = 60.00°, γ = 60.00°
Fractional positions:
Br1 0.127 0.624 0.624
Br2 0.624 0.624 0.624
Br3 0.250 0.250 0.250
In1 0.000 0.000 0.000
Br4 0.624 0.127 0.624
Br5 0.624 0.624 0.127

---

2.
This record from Alexandria describes crystalline InBr3 at its relaxed geometry. The functional is PBEsol.

## Properties
* formation energy (no corrections): -2.9 eV/f.u.
* uncorrected energy: -2.8731 eV per atom
* spin magnetization: 0.0 μB/f.u.

a = 6.981 Å, b = 7.533 Å, c = 11.101 Å
α = 90.00°, β = 90.00°, γ = 90.00°
Fractional positions:
Br1 0.628 0.825 0.089
Br2 0.796 0.851 0.750
Br3 0.628 0.825 0.411
Br4 0.204 0.149 0.250
In1 0.348 0.850 0.250
In2 0.652 0.150 0.750
Br5 0.372 0.175 0.589
Br6 0.128 0.675 0.411
Br7 0.128 0.675 0.089
In3 0.152 0.350 0.750
Br8 0.872 0.325 0.589
Br9 0.296 0.649 0.750
Br10 0.704 0.351 0.250
Br11 0.372 0.175 0.911
Br12 0.872 0.325 0.911
In4 0.848 0.650 0.250

---

3.
This record from Alexandria describes crystalline In4Br7 at its relaxed geometry. The functional is PBEsol.

## Properties
* formation energy (no corrections): -7.5 eV/f.u.
* uncorrected energy: -2.9608 eV per atom
* spin magnetization: 0.0 μB/f.u.

a = 7.487 Å, b = 7.487 Å, c = 15.901 Å
α = 76.38°, β = 76.38°, γ = 60.00°
Fractional positions:
Br1 0.634 0.634 0.602
Br2 0.908 0.365 0.819
Br3 0.634 0.130 0.602
Br4 0.635 0.092 0.181
In1 0.150 0.150 0.549
In2 0.500 0.500 0.500
Br5 0.092 0.092 0.181
In3 0.708 0.708 0.877
In4 0.292 0.292 0.123
Br6 0.366 0.870 0.398
Br7 0.908 0.908 0.819
In5 0.416 0.416 0.752
In6 0.000 0.000 0.000
Br8 0.092 0.635 0.181
Br9 0.870 0.366 0.398
In7 0.584 0.584 0.248
Br10 0.653 0.653 0.041
Br11 0.130 0.634 0.602
Br12 0.365 0.908 0.819
In8 0.850 0.850 0.451
Br13 0.347 0.347 0.959
Br14 0.366 0.366 0.398

---

4.
This record from Alexandria describes crystalline InBr2 at its relaxed geometry. The functional is PBEsol.

## Properties
* formation energy (no corrections): -2.2 eV/f.u.
* uncorrected energy: -2.9624 eV per atom
* spin magnetization: 0.0 μB/f.u.

a = 7.830 Å, b = 10.142 Å, c = 10.293 Å
α = 90.00°, β = 90.00°, γ = 90.00°
Fractional positions:
Br1 0.993 0.452 0.180
Br2 0.653 0.694 0.544
Br3 0.493 0.452 0.820
Br4 0.993 0.048 0.320
In1 0.750 0.500 0.680
Br5 0.347 0.306 0.456
In2 0.829 0.750 0.250
In3 0.171 0.250 0.750
Br6 0.653 0.806 0.956
In4 0.250 0.000 0.180
Br7 0.007 0.548 0.820
Br8 0.153 0.806 0.044
Br9 0.847 0.306 0.544
Br10 0.153 0.694 0.456
Br11 0.347 0.194 0.044
In5 0.329 0.750 0.750
Br12 0.007 0.952 0.680
Br13 0.507 0.548 0.180
In6 0.250 0.500 0.320
In7 0.750 0.000 0.820
Br14 0.847 0.194 0.956
In8 0.671 0.250 0.250
Br15 0.493 0.048 0.680
Br16 0.507 0.952 0.320

---

5.
- - -

2021 brings new trademark fees. The PTO states: “The overall strategy of the Final Rule is to balance a reasonable and affordable fee schedule with sufficient multi-year revenue to recover the aggregate costs of maintaining the USPTO’s trademark-related operations and accomplishing the USPTO’s trademark-related strategic goals. The Final Rule enables the USPTO to continue to enhance […]

On Sunday, December 27, 2020, President Trump signed into law the $2.3 trillion coronavirus relief and government funding bill. Included within the massive piece of legislation are a number of new laws specifically addressing intellectual property issues, including the 2020 Trademark Modernization Act (TMA), the Case Act and other copyright related legislation discussed in another article […]

No joke, sometimes, we come across a trademark dispute that cries out for a mention. Here’s one. VIP Products (“VIP”) sells among other things a line of toys, which it calls “Silly Squeakers.” Dog lovers/readers may be familiar with them. The line of vinyl dog toys consists of vinyl replicas of liquor, beer, wine, and […]

The ongoing pandemic has not stopped progress in the world of privacy protection. This month there have been huge developments that may have profound implications for commerce between United States and the European Union (EU). We have written extensively about the European “General Data Protection Regulation” or the GDPR. This is a set of privacy regulations that govern […]

We are pleased to announce that the five attorneys of LW&H who practice on Philadelphia’s “Main Line” have been selected by Main Line Today Magazine as among the Top Lawyers of 2020.  Led by Josh Waterson, MLT’s #1 Intellectual Attorney, Larry Weinberger, Adam Garson, Robert Yarbrough and Lawrence Husick were named by the publication as Top […]

Last January, readers may recall our article about Georgia v. Public Resource Org Inc. (“PRO”).  At the time, that case had been successfully appealed to the United States Supreme Court (SCOTUS). We now have a decision.  PRO involved the issue of whether the Official Code of Georgia Annotated [OCGA] was subject to copyright protection.  Here were the facts: Georgia publishes and sells the […]